What to do >
Please filter the block further below: keep the lines with the word "Main".

Contents >
- - -
Record 1
For BaNd6S8, DFT lattice parameters and positions (PBE) gives the calculated XRD peak list in this record (Cu Kα).
Lines closer than 0.1° are merged.

Cell and atoms:
Unit cell a=12.0117 b=12.0117 c=12.7045 alpha=90.00 beta=90.00 gamma=120.00
Space group R-3 (No. 148, hexagonal axes)
Inequivalent atoms, fractional coordinates:
1 Ba 0.0000 0.0000 0.0000 x3
2 Nd 0.0098 0.8165 0.6278 x18
3 S 0.0000 0.0000 0.2405 x6
4 S 0.0108 0.7475 0.4166 x18

Main lines, by angle (2θ = 10–90°):
2theta, d_spacing, I (rel.), index
10.99, 8.049, 567, 1 0 1
20.98, 4.235, 361, 0 0 3
23.69, 3.756, 1000, 3 -1 1
26.66, 3.343, 458, 1 2 2
34.13, 2.627, 230, 3 1 2
36.37, 2.470, 481, 3 -1 4
36.69, 2.450, 238, 2 2 3
39.71, 2.270, 289, 4 1 0
42.34, 2.134, 205, 3 -2 5
45.33, 2.001, 175, 5 -4 3

Record 2
For Pr12Ho2Tl, DFT lattice parameters and positions (PBE) gives the calculated XRD peak list in this record (Cu Kα).
Lines closer than 0.1° are merged.

Cell and atoms:
Unit cell a=6.7788 b=6.7788 c=24.1067 alpha=90.00 beta=90.00 gamma=90.00
Space group P4/nbm (No. 125, origin choice 2)
Inequivalent atoms, fractional coordinates:
1 Pr 0.0049 0.5049 0.0929 x8
2 Pr 0.0834 0.5834 0.5656 x8
3 Pr 0.2500 0.2500 0.2000 x4
4 Pr 0.2500 0.2500 0.3272 x4
5 Ho 0.2500 0.7500 0.2483 x4
6 Tl 0.2500 0.7500 0.0000 x2

Main lines, by angle (2θ = 10–90°):
2theta, d_spacing, I (rel.), index
19.93, 4.454, 323, 1 1 2
23.72, 3.751, 453, 1 1 4
27.33, 3.263, 1000, 2 0 2
29.00, 3.079, 359, 1 1 6
30.25, 2.954, 756, 2 0 4
32.29, 2.773, 401, 2 0 5
34.62, 2.591, 610, 2 0 6
35.18, 2.551, 402, 1 1 8
37.53, 2.397, 807, 2 2 0
52.38, 1.747, 593, 3 1 8


No. 1
Computed XRD peak list
Compound: NaH6N2O
Radiation: Cu Kα, 1.54184 Å
Structure: a crystal structure in Alexandria, relaxed with PBE

Structure:
abc: 6.1852 6.1852 5.2355
angles: 96.30 96.30 118.42
Fractional positions:
1 Na 0.0638 0.9362 0.7500
2 Na 0.9362 0.0638 0.2500
3 H 0.0505 0.6262 0.3135
4 H 0.2070 0.4265 0.8661
5 H 0.2101 0.4710 0.5608
6 H 0.3738 0.9495 0.1865
7 H 0.4265 0.2070 0.3661
8 H 0.4710 0.2101 0.0608
9 H 0.5290 0.7899 0.9392
10 H 0.5735 0.7930 0.6339
11 H 0.6262 0.0505 0.8135
12 H 0.7899 0.5290 0.4392
13 H 0.7930 0.5735 0.1339
14 H 0.9495 0.3738 0.6865
15 N 0.1046 0.3512 0.6775
16 N 0.3512 0.1046 0.1775
17 N 0.6488 0.8954 0.8225
18 N 0.8954 0.6488 0.3225
19 O 0.3589 0.6411 0.2500
20 O 0.6411 0.3589 0.7500

Largest 10 diffraction maxima, most intense first, 2θ from 15° to 90°:
34.88°, I 100.0
40.89°, I 48.5
35.10°, I 42.3
33.74°, I 31.9
16.58°, I 23.6
29.05°, I 21.1
49.89°, I 17.7
26.26°, I 17.4
32.34°, I 16.4
43.56°, I 15.7

---

No. 2
Computed XRD peak list
Compound: Hf3TaTi2N6
Radiation: Cu Kα, 1.54184 Å
Structure: a crystal structure in Alexandria, relaxed with PBE

Structure:
abc: 5.4371 5.4371 5.4173
angles: 99.70 99.70 120.02
Fractional positions:
1 Hf 0.0000 0.0000 0.0000
2 Hf 0.3321 0.6679 0.0000
3 Hf 0.6679 0.3321 0.0000
4 Ta 0.5000 0.5000 0.5000
5 Ti 0.1659 0.8341 0.5000
6 Ti 0.8341 0.1659 0.5000
7 N 0.0830 0.4192 0.2568
8 N 0.2455 0.2455 0.7449
9 N 0.4192 0.0830 0.2568
10 N 0.5808 0.9170 0.7432
11 N 0.7545 0.7545 0.2551
12 N 0.9170 0.5808 0.7432

Largest 10 diffraction maxima, most intense first, 2θ from 15° to 90°:
40.72°, I 100.0
35.01°, I 70.2
35.07°, I 33.8
35.19°, I 33.6
58.84°, I 32.8
70.36°, I 23.7
17.39°, I 21.9
- - -

Response >
Main lines, by angle (2θ = 10–90°):
Main lines, by angle (2θ = 10–90°):